How to Create a Long-Distance Parenting Plan

Whether by chance or by choice, you’ve found yourself needing to create a workable, acceptable long-term parenting plan with your ex.
These parenting plans are exceptionally common, but that doesn’t make them any less frustrating for co-parents to create. But, like all things when co-parenting, long-distance parenting plans require compromise and a willingness to do what’s best for the children first, forcing the adults to put their egos aside.
If you’re faced with drafting a long-distance parenting plan, here’s some guidance to make the process a little bit easier:
Factors Impacting Long-Distance Parenting Plans
When creating a long-distance parenting plan, there are several things both parties must consider when making decisions.
Here are 4 major factors that can impact the conditions laid out in your parenting plan:
- Age and maturity of the children: Teenagers are much more capable of being away from their primary parent for long periods of time and traveling distances for visits than toddlers may be. Take into account your children’s ages and maturity now, and realize you may have to adapt the parenting plan over time.
- Distance between parents: The farther away you are from one another, the more complicated visitation becomes. If you and the other parent live a car-ride away, monthly or semi-monthly parenting time can work; for anything that will require long trips or plane rides, you may need to consider semi-annual or annual trips that last longer periods of time.
- Economic capability: If traveling between homes is going to put a huge financial burden on one or both parents, it may impact how often the child is able to visit.
- Developmental and health concerns: Children who have specialized needs may not be as able to easily travel between homes. This may require adapting the parenting plan so that, for example, the other parent comes to visit the child occasionally instead of the child being the one traveling.
Parts of a Long-Distance Parenting Plan
The more your parenting plan can cover in detail, the better off your ability to successfully co-parent will be.
Here are some crucial parts of a long-distance parenting plan you need to address:
Outlining how communication between the long-distance parent and the children should be handled is crucial. Frequent communication when a parent and child cannot see one another for a while is helpful in fostering a close parent-child relationship that will last.
Some of the things to address include:
- How often the long-distance parent and child can communicate: Will there be weekly phone calls? Should the parent or child be able to call or text whenever they want? The answer may be different based on the age of the child and whether or not they have easy access to their own means of communication.
- How the parent and child should communicate: Phone calls, texting, video chatting, and other means of communication should be listed.
- How communication with the custodial parent will be handled during visits with the long-distance parent: Should there be schedule calls, or will the child have the opportunity to contact the parent at will?
In addition to communications concerns between the parents and the child, a great long-distance parenting plan should lay out specifics for communication between the parents.
Some of the considerations to address include:
- Frequency of updates the long-distance parent should receive on the child
- How the parents should communicate with one another
- How temporary adjustments to the communication plan should be handled
Parenting Time
When parents live far apart, handling regular or semi-regular visitation takes a lot of careful planning.
In drawing up your long-distance parenting plan, here are some things to address:
- Frequency of visits: The closer the long-distance parent lives to the child, the more frequent the contact can be. However, things such as the child’s schedule, the parents’ work schedules, and financial means must be factored into this decision.
- Length of visits: If you’re dealing with more frequent visitation, a weekend at a time with more lengthy periods of time during holidays and school breaks is usually standard. For parents who live farther apart, however, these periods of time may be more lengthy, such as entire weeks or months with the long-distance parent, especially as the child ages.
- How far in advance visits should be scheduled: If you are planning to allow for some flexibility in visitation, such as “two weeks in summer” instead of noting specific weeks, there should be guidelines as to how far in advance the parents should plan the child’s visits.
- Holidays and vacations: For many long-distance parents, the majority of their time with the child takes place during holidays and school breaks. Both parents should be given an opportunity to celebrate key holidays with the child, which may mean that some flexibility on both parties’ parts is necessary in setting up the schedule.
Once you have figured out just how often the child will see the long-distance parent, you have to figure out how the child will get to that parent.
In the case of parents who are a car ride apart, many families opt to have parents rotate pickup duties (Ex: The long-distance parent picks the child up for the start of their parenting time, and the custodial parent picks the child up at the end of this time). However, depending on individual scheduling and budgetary concerns, you may need to figure out an alternative plan.
For children who need to travel longer distances, such as via train or airplane, both parties need to work out who pays for the child’s ticket and, in the event that the child has to be accompanied by an adult, who should accompany the child.
No matter what you decide in creating your long-distance parenting plan, it’s essential that both parties go in with a spirit of compromise and looking to do what’s best for the child.
Skilled Child Custody Attorney in Maryland
Here the piece breaks off for calculated crystals.
/*
Starting from DFT lattice parameters and positions (PBE), the powder diffractogram of Pr2NdZn5 was calculated for Cu Kα (λ = 1.5418 Å).
Lines closer than 0.1° are merged.

Cell and atoms:
```
16
Lattice="4.958 0.000 0.000 0.000 4.958 0.000 0.000 0.000 14.748" Properties=species:S:1:pos:R:3 pbc="T T T"
Pr 0.000 0.000 3.384
Pr 0.000 0.000 11.364
Pr 2.479 2.479 3.990
Pr 2.479 2.479 10.758
Nd 0.000 0.000 7.374
Nd 2.479 2.479 0.000
Zn 0.000 0.000 0.000
Zn 0.000 2.479 1.651
Zn 0.000 2.479 5.723
Zn 0.000 2.479 9.024
Zn 0.000 2.479 13.097
Zn 2.479 0.000 1.651
Zn 2.479 0.000 5.723
Zn 2.479 0.000 9.024
Zn 2.479 0.000 13.097
Zn 2.479 2.479 7.374
```

Most intense lines, 2θ = 5–70°, in order of falling intensity:
d (Å)  I_rel
2.541  100
2.479  53
1.443  33
1.753  18
3.491  14
1.479  11

***

Starting from DFT lattice parameters and positions (PBE), the powder diffractogram of PrNd2Zr was calculated for Cu Kα (λ = 1.5418 Å).
Lines closer than 0.1° are merged.

Cell and atoms:
```
4
Lattice="4.104 0.000 0.000 0.000 4.104 0.000 0.000 0.000 7.514" Properties=species:S:1:pos:R:3 pbc="T T T"
Pr 0.000 0.000 0.000
Nd 2.052 2.052 2.118
Nd 2.052 2.052 5.396
Zr 0.000 0.000 3.757
```

Most intense lines, 2θ = 5–70°, in order of falling intensity:
d (Å)  I_rel
2.771  100
2.902  62
1.649  42
2.052  23
1.577  14
1.386  9

***

Starting from DFT lattice parameters and positions (PBE), the powder diffractogram of NdPt4 was calculated for Cu Kα (λ = 1.5418 Å).
Lines closer than 0.1° are merged.

Cell and atoms:
```
20
Lattice="-4.625 4.625 4.625 4.625 -4.625 4.625 4.625 4.625 -4.625" Properties=species:S:1:pos:R:3 pbc="T T T"
Nd 2.056 2.056 -2.056
Nd 2.056 -2.056 2.056
Nd -2.056 2.056 2.056
Nd 2.568 2.568 2.568
Pt 3.651 3.651 -3.651
Pt 3.222 0.000 0.000
Pt 6.027 0.000 0.000
Pt 3.651 -3.651 3.651
Pt 0.974 0.974 0.974
Pt 4.625 2.312 0.000
Pt 4.625 0.000 2.312
Pt 0.000 3.222 0.000
Pt 0.000 0.000 3.222
Pt 2.312 4.625 0.000
Pt 2.312 0.000 4.625
Pt 0.000 6.027 0.000
Pt 0.000 0.000 6.027
Pt 0.000 4.625 2.312
Pt 0.000 2.312 4.625
Pt -3.651 3.651 3.651
```

Most intense lines, 2θ = 5–70°, in order of falling intensity:
d (Å)  I_rel
2.180  100
2.670  84
2.472  46
4.625  25
1.972  24
1.635  23

***

Starting from DFT lattice parameters and positions (PBE), the powder diffractogram of NdPt3 was calculated for Cu Kα (λ = 1.5418 Å).
Lines closer than 0.1° are merged.

Cell and atoms:
```
4
Lattice="4.198 0.000 0.000 0.000 4.198 0.000 0.000 0.000 4.198" Properties=species:S:1:pos:R:3 pbc="T T T"
Nd 0.000 0.000 0.000
Pt 0.000 2.099 2.099
Pt 2.099 0.000 2.099
Pt 2.099 2.099 0.000
```

Most intense lines, 2θ = 5–70°, in order of falling intensity:
d (Å)  I_rel
2.424  100
2.099  50
1.484  33
4.198  1
2.969  1
1.878  1

***

Starting from DFT lattice parameters and positions (PBE), the powder diffractogram of NdPt3 was calculated for Cu Kα (λ = 1.5418 Å).
Lines closer than 0.1° are merged.

Cell and atoms:
```
8
*/
At the Law Office of Sandra Guzman-Salvado, we work hard to help parents come to an agreement when it comes to long-distance parenting plans. We’ve worked with countless families in a variety of complicated situations, and we’ll work hard for your family. Schedule a consultation today!